( Editors note: If you missed part two of Tims story about the Kid, Just Click Here )
All of you readers already know “the kid” about whom this story is being written is actually me, Tim. So, in this chapter, as I am tired of typing “the kid”, from now on we will refer to Tim. Better than using “I” all the time.
When we ended Chapter two, Tim had made the statement that the Grand Nationals were to be at Columbia Speedway on August 30th, but that was not correct. The Grand National race would actually be in Columbia on September 18th so our little team had two more chances to conquer the track before the big boys came to town. Once the Plymouth was cleaned and sparkly again, thanks to the kid brigade that polished it so fine, it was put under the tarp until next week. Plans were underway to build a garage, but financing just did not support that expense as yet. But there would be a surprise on that front coming soon.
On Thursday morning, the 30th of August, Tommy and Eddie went to work on the car just checking engine and suspension parts and got it ready to load on the trailer for Columbia Speedway. By the time Tim got home at 4:30 p.m. everything was ready to go and all Tim had to do was change into the jeans and white shirt. The white shirt had a little oval with “Tim” embroiled on it so that was the driving uniform of the day. Marty’s truck pulled the trailer out of the driveway and the trip across town was made in less than 25 minutes. This time, when we rolled up to the gate to sign in, we had a NASCAR license in hand for Tim, Tommy and Eddie. We signed in and pulled into the track over the first turn entrance.
We managed to secure almost the same spot in the pits as we had the week before and unloaded the car. Of course we were early because we were close by and I managed to get off work early on Thursdays. Tommy and Eddie, my crew, had both signed up for the Air Force and would be leaving soon after the end of the season so they were available at all times. As other cars began to arrive, both Later Model Sportsman and Hobby, the pits began to fill. Crews all around the little team were busy making unknown adjustments, at least unknown to the ragtag Plymouth boys, so the boys made like they had things to do by raising the hood and basically only looking at the engine.

The memories of that night are somewhat obscured as the week before has overshadowed what happened on August 30, 1969. Tim did draw sixth starting position for the second heat and was able to move up to fourth before the end of the heat. That would put him in 8th starting position for the feature. After all the years of watching the late model boys put on exciting races, those events now were only a delay in getting back on the track for the feature.
The feature race for Hobby that night started 21 cars and quickly became a wreck-fest. By lap 3, Tim had moved into 4th place, mainly due to three of the cars starting in front of him tangling and crashing in turn three, with Tim narrowly avoiding that disaster. The race was winding down its 20-lap distance as Tim came upon the orange Chevy of Jay Carpenter with two to go. Coming off turn two, Jay slipped the slightest bit, opening the inside for Tim to fill and that’s exactly what he did. Jay recovered and was faster on the straight, but the two cars entered turn three side by side with Tim on the inside. One thing about that Plymouth is the way it handled. The two cars banged into each other three or four times in turns three and four but it was Tim by a half car length at the line. Another second place.
**Unrelated to this article: data records:**
The following is a r2SCAN calculation of an optimized crystal structure of Th2CN, from the Materials Project.

```
12
Lattice="3.745 0.000 0.000 -1.872 3.243 0.000 0.000 0.000 18.188" Properties=species:S:1:pos:R:3 pbc="T T T"
Th 0.000 0.000 4.553
Th 0.000 0.000 13.635
Th 0.000 2.162 7.572
Th 0.000 2.162 16.679
Th 1.872 1.081 1.510
Th 1.872 1.081 10.616
C 0.000 0.000 9.094
C 0.000 2.162 3.031
C 1.872 1.081 15.157
N 0.000 0.000 0.000
N 0.000 2.162 12.126
N 1.872 1.081 6.063
```

Values from the calculation:
- symmetry = R-3m, No. 166
- crystal system = trigonal

=====

The following is a r2SCAN calculation of an optimized crystal structure of Ti5CN4, from the Materials Project.

```
10
Lattice="1.506 0.870 12.289 -1.506 0.870 12.289 0.000 -1.739 12.289" Properties=species:S:1:pos:R:3 pbc="T T T"
Ti 0.000 0.000 0.000
Ti 0.000 0.000 7.366
Ti 0.000 0.000 14.727
Ti 0.000 0.000 22.139
Ti 0.000 0.000 29.500
C 0.000 0.000 18.433
N 0.000 0.000 3.647
N 0.000 0.000 11.065
N 0.000 0.000 25.801
N 0.000 0.000 33.219
```

Values from the calculation:
- symmetry = R-3m, No. 166
- crystal system = trigonal

=====

The following is a r2SCAN calculation of an optimized crystal structure of Ti4C3N, from the Materials Project.

```
8
Lattice="1.523 0.880 9.952 -1.523 0.880 9.952 0.000 -1.759 9.952" Properties=species:S:1:pos:R:3 pbc="T T T"
Ti 0.000 0.000 3.705
Ti 0.000 0.000 11.184
Ti 0.000 0.000 18.672
Ti 0.000 0.000 26.150
C 0.000 0.000 0.000
C 0.000 0.000 7.426
C 0.000 0.000 22.429
N 0.000 0.000 14.928
```

Values from the calculation:
- symmetry = R-3m, No. 166
- crystal system = trigonal

=====

The following is a r2SCAN calculation of an optimized crystal structure of Na5Ni2P2C2O14, from the Materials Project.

```
25
Lattice="5.049 0.000 0.000 0.000 6.483 0.000 -0.148 0.000 8.782" Properties=species:S:1:pos:R:3 pbc="T T T"
Na 0.000 0.000 0.000
Na 2.276 1.579 7.176
Na 2.276 4.904 7.176
Na 4.945 1.686 2.933
Na 4.945 4.797 2.933
Ni -0.063 3.242 6.422
Ni 2.217 0.000 3.761
P 2.558 3.242 4.380
P 4.626 0.000 5.793
C 2.545 0.000 1.274
C 4.782 3.242 0.023
O -0.053 1.214 6.676
O -0.053 5.269 6.676
O 0.303 0.000 4.458
O 0.738 3.242 8.173
O 1.393 0.000 1.868
O 1.800 3.242 5.712
O 2.236 2.002 3.548
O 2.236 4.481 3.548
O 2.474 0.000 8.777
O 3.099 0.000 5.554
O 3.598 0.000 2.018
O 3.634 3.242 7.980
O 4.095 3.242 4.708
O 4.697 3.242 1.265
```

Values from the calculation:
- symmetry = Pm, No. 6
- crystal system = monoclinic

=====

For each record above, in turn, the calculated energy relative to the elements values are -1131; -1761; -1238; -1973 meV/atom.

* * * * *

Entry 1:
# Hf9Re4O3 | the Materials Project | r²SCAN | relaxed
# - M_tot (μB per cell) = 0.00
# - VASP energy (eV/atom) = -40.95
# - crystal system = hexagonal
# - calculated formation energy (eV per atom) = -1.33
data_Hf9Re4O3
_chemical_formula_sum 'Hf18 Re8 O6'
_cell_length_a 8.4093
_cell_length_b 8.4093
_cell_length_c 8.4912
_cell_angle_alpha 90.00
_cell_angle_beta 90.00
_cell_angle_gamma 120.00
**Back to the article:**
It now appeared as though second place finishes were going to pay enough to get from that race to the next as there were really no expenses to speak of as we ran the same tires every race. Still, the team was hoping for that win. Maybe Saturday in Augusta. Maybe.
Materials data, as found in the file:
~~~
# PBE with a Hubbard U Li3FePCO7, optimized geometry
# - ρ: 2.74 Mg/m³
# - ΔH_f (0 K): -225.4 kJ per mole of atoms
data_Li3FePCO7
_chemical_formula_sum 'Li12 Fe4 P4 C4 O28'
_cell_length_a 8.068
_cell_length_b 8.161
_cell_length_c 8.792
_cell_angle_alpha 93.41
_cell_angle_beta 86.90
_cell_angle_gamma 76.98
_space_group_name_H-M_alt 'P 1'
_space_group_IT_number 1
_space_group_name_Hall 'P 1'
loop_
_atom_site_label
_atom_site_fract_x
_atom_site_fract_y
_atom_site_fract_z
O1 0.621 0.051 0.721
O2 0.274 0.580 0.459
O3 0.909 0.671 0.354
O4 0.443 0.888 0.466
O5 0.757 0.642 0.616
O6 0.413 0.980 0.987
O7 0.945 0.897 0.929
O8 0.257 0.142 0.616
O9 0.445 0.397 0.929
O10 0.915 0.969 0.181
O11 0.168 0.035 0.356
O12 0.362 0.687 0.719
O13 0.409 0.171 0.354
O14 0.115 0.252 0.894
O15 0.087 0.834 0.609
O16 0.117 0.741 0.088
O17 0.585 0.824 0.146
O18 0.587 0.333 0.609
O19 0.415 0.470 0.181
O20 0.773 0.080 0.459
O21 0.913 0.480 0.987
O22 0.862 0.186 0.718
O23 0.121 0.550 0.721
O24 0.085 0.324 0.146
O25 0.615 0.752 0.894
O26 0.668 0.535 0.356
O27 0.617 0.241 0.088
O28 0.943 0.388 0.466
Li1 0.066 0.010 0.773
Li2 0.752 0.099 0.915
Li3 0.879 0.684 0.823
Li4 0.651 0.038 0.252
Li5 0.252 0.599 0.915
Li6 0.964 0.211 0.302
Li7 0.566 0.510 0.773
Li8 0.379 0.184 0.822
Li9 0.151 0.538 0.252
Li10 0.778 0.623 0.159
Li11 0.464 0.711 0.302
Li12 0.278 0.123 0.159
P1 0.212 0.662 0.621
P2 0.712 0.162 0.621
P3 0.818 0.559 0.453
P4 0.318 0.059 0.453
Fe1 0.493 0.387 0.398
Fe2 0.037 0.334 0.676
Fe3 0.993 0.887 0.398
Fe4 0.538 0.834 0.676
C1 0.535 0.854 0.009
C2 0.995 0.868 0.066
C3 0.035 0.354 0.009
C4 0.495 0.368 0.066

# PBE with a Hubbard U MgCo6Ag2P6H4O24, optimized geometry
# - ρ: 4.02 Mg/m³
# - Crystal system: triclinic
# - ΔH_f (0 K): -186.7 kJ per mole of atoms
data_MgCo6Ag2P6H4O24
_chemical_formula_sum 'Mg1 Co6 Ag2 P6 H4 O24'
_cell_length_a 6.524
_cell_length_b 8.936
_cell_length_c 8.999
_cell_angle_alpha 85.85
_cell_angle_beta 74.32
_cell_angle_gamma 72.78
_space_group_name_H-M_alt 'P 1'
_space_group_IT_number 1
_space_group_name_Hall 'P 1'
loop_
_atom_site_label
_atom_site_fract_x
_atom_site_fract_y
_atom_site_fract_z
Mg1 0.000 0.000 0.000
Co1 0.159 0.517 0.797
Co2 0.404 0.981 0.246
Co3 0.405 0.761 0.863
Co4 0.575 0.308 0.179
Co5 0.795 0.304 0.450
Co6 0.939 0.607 0.532
Ag1 0.282 0.591 0.152
Ag2 0.712 0.601 0.126
P1 0.127 0.270 0.083
P2 0.291 0.247 0.502
P3 0.438 0.675 0.498
P4 0.689 0.419 0.811
P5 0.816 0.862 0.829
P6 0.917 0.914 0.299
H1 0.231 0.211 0.773
H2 0.370 0.919 0.574
H3 0.775 0.168 0.751
H4 0.841 0.941 0.551
O1 0.019 0.757 0.888
O2 0.082 0.358 0.463
O3 0.108 0.441 0.024
O4 0.135 0.935 0.188
O5 0.154 0.163 0.946
O6 0.248 0.600 0.562
O7 0.285 0.275 0.678
O8 0.313 0.074 0.477
O9 0.332 0.204 0.152
O10 0.405 0.810 0.620
O11 0.436 0.758 0.343
O12 0.458 0.529 0.809
O13 0.500 0.293 0.408
O14 0.596 0.844 0.942
O15 0.665 0.552 0.490
O16 0.705 0.341 0.964
O17 0.743 0.277 0.693
O18 0.744 0.979 0.201
O19 0.830 0.031 0.841
O20 0.830 0.827 0.661
O21 0.855 0.016 0.449
~~~
Here the page continues:
That Saturday dawned with those grey sullen skies promising rain at any time. By 10 a.m. it was raining lightly but the ominous clouds to the west promised stormy weather for later in the day. Typical South Carolina August weather. The team called Augusta about noon and was told it was raining hard in Augusta but the race had not yet been called. The car was loaded, covered with the tarp, awaiting the outcome of the weather. We called again at 2:00 and the race had been postponed. As a matter of fact, rain continued in the area off and on for a week, thereby causing Columbia to cancel their program for September 4th.
Tim honestly has no memory whatsoever of the Columbia event on September 11th nor the Augusta event on the 13th. Tim knows the team ran the races but time has removed the recollections of what must have been mediocre races at best. But the memory of September 18th remains very vivid.
September 18th was the night the Grand Nationals came to Columbia Speedway. The only two Grand Nationals Tim attended that year were the Columbia events. His hero, Richard Petty, who had driven Plymouths, had defected to Ford. Now understand, in those days a fan’s loyalty was often just as attached to car make as the driver. While Richard and Tim communicated during the year, the first by a lengthy letter from Tim to Richard in November, 1968, when Richard announced the Ford deal, and then the encounter at the spring Columbia race.
Tim was, of course, already at the track when the teams came pulling in. The Petty hauler pulled in about 5 pm and Richard came over to Tim as soon as he got out of the truck to say “I hear you’re keeping the Plymouth reputation alive this year”. Obviously, my good friend and sportscaster, Jim Seay, had encountered Richard at the sign in booth and told him. Tim responded “I’m trying to do just that”. Tim was well aware a huge part of the popularity he was enjoying in Columbia and Augusta was because Petty had deserted the Mopars and Tim was running the only Mopar in any division at those two tracks. Richard and Tim carried on a conversation for a while, with Richard giving some pointers. Tim told him “if you ever go back to Plymouth, I want to drive for Petty” to which Richard responded “we always have room for a winner.” Although not stressed, the key word there was “winner.”
Saturday everyone on the little team was excited about going back to Augusta. The day dawned bright and sunny and it warmed up quickly, especially for mid-September. By noon the car was loaded on the trailer and Tim’s Mom provided the pimento cheese sandwiches and chips as everyone sat on the ground around the race car as though the race car was a monument to be worshipped. When the eating was done and everything was ready, the green pickup truck pulled out of the driveway with the race car in tow. We now had a caravan of 5 cars, each loaded with adults and kids heading for Augusta. We brought our own cheering section to be joined by other Mopar fans in the area.
The heat race we drew, the first one, should have been our first win. We started fifth and were running second by the second lap. It was a blue Ford in front of us and although Tim tried him high and then low and then high again, there was no getting around that Ford. The Plymouth handled so well it could pull almost alongside in the turns but the Ford outran Tim down the straight by a car length or so. Another second place, putting Tim on the inside second row for the feature.
Lining up for the feature, Tim stared at the back of that blue Ford and thought to himself that this time he was going to take him, going into turn one on the inside. As the pace laps began, Tim checked his mirror to see row upon row of cars behind him… a couple he recognized as the fast boys. Nevertheless, this was the race Tim intended to win. The green flag waved and entering turn one Tim was on the inside of that Ford, door to door. That went on four or five laps before the Ford finally pulled ahead but Tim immediately tagged onto the back bumper. Cars behind Tim were two abreast fighting for position but Tim was determined whatever position they got would not be the one he was in. Tim tried the Ford high and low and discovered on these high banks he could pull pretty even on the outside. That was his plan as they raced into turn one on the last lap.
Coming off turn two, Tim took it way high, which surprised the Ford driver and suddenly Tim was again door to door as they raced the backs straight. Tim’s mind was preparing his victory speech when, as he lifted slightly for turn four, there was a rumble under the hood of the Plymouth and suddenly he was sliding in his own oil as the engine blew. The car actually slid sideways from turn three down onto the apron of turn four where it stopped.
The wrecker towed the Plymouth to the pits and when the hood was raised and the flashlights explored the area, the almost baseball size hole in the side of the slant six block left no doubt that engine was history. The talk, as we pushed the car on the trailer, was that our racing days may be over. As we began the drive back to Columbia, we talked of what we could do and how to come up with the money to get a new engine. None of that seemed simple that night.
When we got home, we just left the car on the trailer and covered it with the tarp. No one was in the mood to sit around and talk that night, unusual as that was for the bunch, so everyone left for home and their well-deserved night of rest. As Scarlett O’Hara would have said, “Tomorrow is another day” and oh boy, was Scarlett ever right.
At church Sunday morning, one of Tim’s neighbors who had once owned several horses and left them in a lot adjoining the property where Tim lived, came up to talk. The gist of the discussion was that he had the old stable just sitting there and he noticed we didn’t have a garage for the race car. He said “if you guys tear it down and clean up the area, you can have all the material to build a garage.” What a deal!!!
Monday morning, Tommy and Eddie began destruction of the stable, careful to not damage the wood or the tin of the roof. By the following Saturday, team “Competition Incorporated” had enough material to build a really good sized garage. Work would start Monday with Tommy and Eddie, and the rest of the guys would join when they got home in the evenings. Two weeks after we started, we had the garage and had cleaned up the stable grounds to perfection. But, alas, we had only a race car with no engine to put inside. Now it was time to get to work to get another engine. But how? The answer to that “how” would come about in the most unusual way. Come back for Chapter four and find out how we did it.
Don’t forget to check out our podcasts, The Racing Spotlight and Ghosttracks & Legends Race Talk on Tuesdays and Thursdays at 7:00 Eastern Time.
Tim Leeming
(Editor’s note: This story is publish with the permission from the author! It was originally published on Race Fans Forever. If you missed any parts of Tim Leeming’s Magic Window series they can be found Here; NASCAR Guest Articles Archives – Pure Thunder Racing )
Photo Credit ( Cover); AUGUSTA INTERNATIONAL SPEEDWAY – speedwayandroadracehistory

Tim, you should be writing a book. This is good stuff! Oh by the way, my brother’s name is Tim..
Ron, thank you for the compliment. I have been told for years that I need to write a couple of books. One on all my 70 years around racing and another about my 40 in a law practice. I started one once on racing but when I started writing all the stuff, I realized so many amazing things happened to me that most people are going to think it’s all fake. Maybe one day. But I do thank you for your kindness. Please tell your brother Tim that he has a fine brother!
Hey Ron thanks for coming here and commenting! I’m sure you also have a lot of good racing related storys to tell also.
Not like Tim’s. I was never a great racer, just incredibly grateful to have finally gotten the chance to race. I never turned a lap in a race car until I was 42. I’m here to tell you that at that age, you realize that you are in fact not invincible! Plus, when you are footing basically all the bills out of pocket, you tend not to just send it in deep, to see what happens. I won some heat races, but never won a feature. Is that disappointing, ah yeah.
I mentioned the name Carlos Serrano in an earlier post. He did a lot of chassis set up for teams that ran super late models & mods in Tucson. I was at his shop one day, working on my car with him. I’d bent it up a little the week before, and we were making sure everything was square. It was really hot, and we needed a break. I volunteered to buy lunch from Whataburger. As we were eating, I asked him why didn’t he come up with a name for his race car business. His race car business was run out of the back of his main business, Serrano Ranch & Feed. He told me that he had thought about it, but just hadn’t followed through. Please understand, I paid Carlos for all of the work he ever did on my car, but he never charged a dime for all of the knowledge he freely gave. That was on top of the friendship we developed over the years. With that in mind, also know that I never, ever put a sponsor’s decals on my car, unless they paid me, or into the modified points fund. As we were a NASCAR track, every year they would give us a big package of decals, and only about half actually were for the modifieds. That day when I asked Carlos about branding his racing business, I said that I would love to put his decals on my car, and wouldn’t expect a dime for doing so. I even said that I’d let him choose where he wanted the decals. He didn’t say anything for about 2 minutes. For me, the silence was painful. So I broke the silence and said, “Hey, I get it if you wouldn’t want to be on my car. I’m not out there setting the world on fire with wins. I don’t want to embarrass you, so I understand if you didn’t want stickers on my car”.
Silence again, and I was wishing I was somewhere else at that moment. Carlos was always very straightforward, and never worried about hurting your feelings. Finally he asked “Ron, how long have you been racing your modified?” I said that this was my 7th season, racing the same car. He then asked how many times have I had to clip that car? I said never, you know that, because you would have been the one doing it. He then asked how many other classes had I raced before getting into a mod. Carlos, you know that I’ve only raced this car, in this class. He then asked me how many of the guys that I raced against over those same 7 seasons, were still racing the same chassis, I could only think of 3.
He asked me if I felt like I wasn’t a good driver. Well, how do you really answer that question? You can’t say I’m really good, when you’ve never won a feature. You can’t say you are not good, because then you have to ask yourself, “Why am I doing this?” So I took the coward’s way out, and said I was about average, and waited for his reply. This is a guy that’s won a lot of races in his day, so I was afraid of what was coming next. He said “Ron, you are a good driver, you’re just in the wrong car”. I said yeah, I know the chassis is old and a little heavy. It was a 10 year old Harris combo chassis, that was supposed to be able to run dirt or asphalt. Well, I came to understand that combo meant that it was just ok in either configuration. He said no that wasn’t what he meant. He said that I shouldn’t be racing a modified at all. Boy, that was really depressing! He said modifieds race like a wrestling match, you’re always fighting and wrestling it. He said I was way too smooth for them. He said if I put you into a super, I’d be running up front in 2 months, and probably winning by season’s end. I was dumbfounded, so I asked him are you sure? He said yes. He walked me back to his super, that he hadn’t raced in 2 seasons (sponsors). He made me get into the seat, then said “I’ll prove it to you if you can afford it”. If only.. I was already having issues with my back, and I’m pretty sure that my business couldn’t afford it. The rules for supers were a lot more strict than in the mods. More rules & more strict rules, that adds up to a lot more money. Racing wasn’t breaking me, but I couldn’t see a way to make the jump financially, no matter how bad I wanted it.
Drivers that never won a feature, would probably say their biggest regret was that they never won a feature. Mine will always be, that I wasn’t able to let me prove Carlos right. But as I said at the start of this post, I’m still incredibly grateful to have gotten to race at all. And I can live with that.
Ron, Me and I’m sure many others love reading storys like yours, when someone is going out racing and doing what you love to do, to the best they can with what you have and what been given to you to work with. Winning or not has nothing to do with the story being a good one. A Win or Second place or DNF doesn’t matter in that sense. Again Ron, Thanks for coming here and sharing your memories.
Also I’m going to post a few more of Tims Storys in the weeks to come.
Stay Safe
Another enjoyable read. Thank you, Tim.
We got to know you a little better and saw another side of you
Looking forward to the next one.
Tim, I really don’t think people will think it’s fake. They might be envious, but hey, that’s ok. Most people don’t realize, that if they took the time to really examine their life, it might be a lot more interesting than what they thought. I’ve always believed that everyone has a story to tell. Sometimes it’s just hard to find someone to appreciate it. Write the book, Please!!